Search the lines further below for the word "H45" and retype each line that has it.
<<<
Entry 1:
Computed, not measured: a cluster of 4 separate species, C28H57ClFN4O15P3 in total in a non-equilibrium geometry, with ωB97M-V/def2-TZVPD.

Its SMILES is NC1=C(F)C(=O)C(CC(N)(N)N)=C(CC(=O)Cl)C1=O.CCOP(=O)(OCC)OCC.CCOP(=O)(OCC)OCC.CCOP(=O)(OCC)OCC. As for the frontier orbital gap: 8.435 eV.

Last columns: bonded neighbours and bond lengths (Å).
CARTESIAN COORDINATES (ANGSTROEM)
1 N -3.96827 -4.72051 -3.95168  C2 1.399, H20 1.014, H21 1.013
2 C -4.40077 -4.07615 -5.11630  N1 1.399, C3 1.333, C18 1.501
3 C -5.52017 -4.41219 -5.75823  C2 1.333, F4 1.341, C5 1.480
4 F -6.32898 -5.41095 -5.37440  C3 1.341
5 C -5.90974 -3.65694 -6.96992  C3 1.480, O6 1.208, C7 1.503
6 O -6.50896 -4.15387 -7.89313  C5 1.208
7 C -5.52262 -2.20468 -6.96821  C5 1.503, C8 1.496, C13 1.340
8 C -6.44306 -1.28062 -7.70014  C7 1.496, C9 1.594, H22 1.091, H23 1.086
9 C -7.77146 -1.02805 -6.85612  C8 1.594, N10 1.456, N11 1.463, N12 1.458
10 N -8.12803 0.38388 -6.87483  C9 1.456, H24 1.013, H25 1.015
11 N -8.84770 -1.87676 -7.36664  C9 1.463, H26 1.014, H27 1.012
12 N -7.54984 -1.47192 -5.48549  C9 1.458, H28 1.009, H29 1.010
13 C -4.38350 -1.85882 -6.35410  C7 1.340, C14 1.508, C18 1.495
14 C -3.78203 -0.47853 -6.27045  C13 1.508, C15 1.500, H30 1.093, H31 1.088
15 C -4.68449 0.57707 -5.70405  C14 1.500, O16 1.172, Cl17 1.789
16 O -5.18309 1.43035 -6.33318  C15 1.172
17 Cl -4.97725 0.55991 -3.93961  C15 1.789
18 C -3.59792 -2.96248 -5.72276  C2 1.501, C13 1.495, O19 1.206
19 O -2.39183 -2.99074 -5.71942  C18 1.206
20 H -4.00076 -4.09475 -3.15413  N1 1.014
21 H -4.59241 -5.48477 -3.72345  N1 1.013
22 H -6.76530 -1.82207 -8.59048  C8 1.091
23 H -5.96025 -0.36197 -8.01858  C8 1.086
24 H -8.58709 0.58729 -5.99460  N10 1.013
25 H -8.84620 0.53062 -7.57709  N10 1.015
26 H -8.55994 -2.84878 -7.35921  N11 1.014
27 H -9.08132 -1.62641 -8.31884  N11 1.012
28 H -8.33344 -2.01384 -5.15201  N12 1.009
29 H -7.32290 -0.71423 -4.85769  N12 1.010
30 H -2.93000 -0.55761 -5.59076  C14 1.093
31 H -3.37539 -0.13197 -7.21825  C14 1.088
32 C -5.69552 -1.46917 3.19593  C33 1.518, H43 1.092, H44 1.091, H45 1.090
33 C -5.98913 -0.49998 2.06474  C32 1.518, O34 1.429, H46 1.094, H47 1.089
34 O -5.11252 0.62832 2.08918  C33 1.429, P35 1.623
35 P -3.60024 0.47780 1.52002  O34 1.623, O36 1.484, O37 1.646, O40 1.615
36 O -3.75565 0.33663 0.05055  P35 1.484
37 O -3.15044 2.06026 1.57435  P35 1.646, C38 1.430
38 C -2.49334 2.68575 0.46838  O37 1.430, C39 1.513, H48 1.089, H49 1.093
39 C -3.45777 3.57661 -0.28384  C38 1.513, H50 1.090, H51 1.091, H52 1.091
40 O -2.93611 0.23227 2.97117  P35 1.615, C41 1.450
41 C -1.51576 0.46570 3.14717  O40 1.450, C42 1.510, H53 1.092, H54 1.090
42 C -1.31946 1.66217 4.04710  C41 1.510, H55 1.088, H56 1.090, H57 1.091
43 H -4.72146 -1.94469 3.06239  C32 1.092
44 H -6.45522 -2.25082 3.23819  C32 1.091
45 H -5.67312 -0.94561 4.15113  C32 1.090
46 H -5.92479 -1.00253 1.09484  C33 1.094
47 H -7.00001 -0.10702 2.16728  C33 1.089
48 H -2.04480 1.94586 -0.19356  C38 1.089
49 H -1.67827 3.28553 0.88218  C38 1.093
50 H -4.32664 3.01170 -0.62140  C39 1.090
51 H -2.97343 4.02974 -1.15010  C39 1.091
52 H -3.82481 4.37098 0.36779  C39 1.091
53 H -1.01599 0.60555 2.18674  C41 1.092
54 H -1.09632 -0.42630 3.61264  C41 1.090
55 H -1.65774 2.57555 3.56234  C42 1.088
56 H -0.26606 1.77453 4.30526  C42 1.090
57 H -1.90085 1.54817 4.96263  C42 1.091
58 C 0.30061 -2.22118 -1.94512  C59 1.518, H69 1.091, H70 1.091, H71 1.090
59 C 0.23926 -1.02795 -1.00940  C58 1.518, O60 1.432, H72 1.094, H73 1.090
60 O 1.48615 -0.81275 -0.33964  C59 1.432, P61 1.614
61 P 2.69337 -0.08504 -1.12497  O60 1.614, O62 1.477, O63 1.635, O66 1.608
62 O 2.27527 1.30605 -1.39048  P61 1.477
63 O 3.75878 0.10173 0.10157  P61 1.635, C64 1.431
64 C 4.43760 1.34300 0.31447  O63 1.431, C65 1.512, H74 1.090, H75 1.094
65 C 3.83536 2.08231 1.48795  C64 1.512, H76 1.091, H77 1.091, H78 1.091
66 O 3.40746 -1.43529 -1.62858  P61 1.608, C67 1.447
>>>
32 C -5.69552 -1.46917 3.19593  C33 1.518, H43 1.092, H44 1.091, H45 1.090